== Given ==
+++
[1]
The following is a PBE-GGA calculation of a relaxed structure of ZrZnGa, from Alexandria via LeMat-Bulk.

Cell and atoms, written as POSCAR:
```
ZrZnGa
1.0
-1.299 -2.701 -0.909
0.006 -1.002 2.968
-4.305 3.986 -0.299
Zn Ga Zr
1 1 1
Direct
0.295 0.295 0.590 Zn
0.937 0.937 0.874 Ga
0.618 0.618 0.236 Zr
```

## Properties
- energy of formation (eV/f.u.) = -0.83
- magnetic moment (μB per cell) = 0.00
- E_tot (eV/atom) = -4.560
- space-group type = No. 107
- calculated volume (Å³ per atom) = 17.792

=====

[2]
The following is a PBE-GGA calculation of a relaxed structure of Ba2MgZr, from Alexandria via LeMat-Bulk.

Cell and atoms, written as POSCAR:
```
Ba2MgZr
1.0
5.615 0.000 0.000
0.000 3.762 0.199
0.000 1.519 7.176
Ba Mg Zr
2 1 1
Direct
0.000 0.966 0.940 Ba
0.500 0.289 0.304 Ba
0.000 0.677 0.520 Mg
0.500 0.568 0.736 Zr
```

## Properties
- energy of formation (eV/f.u.) = 1.64
- magnetic moment (μB per cell) = 0.00
- E_tot (eV/atom) = -3.086
- space-group type = No. 6
- calculated volume (Å³ per atom) = 37.462

=====

[3]
The following is a PBE-GGA calculation of a relaxed structure of LiMnMo2, from Alexandria via LeMat-Bulk.

Cell and atoms, written as POSCAR:
```
LiMnMo2
1.0
2.680 -0.001 0.000
-0.864 2.537 0.000
0.000 0.000 9.025
Li Mn Mo
1 1 2
Direct
0.000 0.000 0.506 Li
0.500 0.500 0.762 Mn
0.000 0.000 0.992 Mo
0.500 0.500 0.240 Mo
```

## Properties
- energy of formation (eV/f.u.) = 1.11
- magnetic moment (μB per cell) = 2.90
- E above lowest polymorph (meV/atom) = 0
- E_tot (eV/atom) = -7.908
- space-group type = No. 35
- calculated volume (Å³ per atom) = 15.334

=====

[4]
The following is a PBE-GGA calculation of a relaxed structure of Li2PuAl9, from Alexandria via LeMat-Bulk.

Cell and atoms, written as POSCAR:
```
Li2PuAl9
1.0
-4.495 -0.525 -3.026
-2.121 -4.934 -0.891
-7.136 -0.996 5.874
Li Pu Al
2 1 9
Direct
0.858 0.858 0.427 Li
0.142 0.142 0.573 Li
0.000 0.000 0.000 Pu
0.665 0.665 0.004 Al
0.335 0.335 0.996 Al
0.500 0.500 0.500 Al
0.413 0.413 0.253 Al
0.922 0.413 0.253 Al
0.413 0.922 0.253 Al
0.587 0.587 0.747 Al
0.587 0.078 0.747 Al
0.078 0.587 0.747 Al
```

## Properties
- energy of formation (eV/f.u.) = -1.07
- magnetic moment (μB per cell) = 5.89
- E_tot (eV/atom) = -4.409
- space-group type = No. 166
- calculated volume (Å³ per atom) = 18.711

=====

[5]
The following is a PBE-GGA calculation of a relaxed structure of Ta5Ru3, from Alexandria via LeMat-Bulk.

Cell and atoms, written as POSCAR:
```
Ta5Ru3
1.0
7.732 0.000 0.000
3.866 6.696 0.000
0.000 0.000 5.267
Ru Ta
6 10
Direct
0.601 0.399 0.750 Ru
0.399 0.601 0.250 Ru
0.399 0.000 0.750 Ru
0.000 0.399 0.250 Ru
0.601 0.000 0.250 Ru
0.000 0.601 0.750 Ru
0.762 0.238 0.250 Ta
0.238 0.762 0.750 Ta
0.238 0.000 0.250 Ta
0.000 0.238 0.750 Ta
0.667 0.667 0.000 Ta
+++

== Request ==
The reader should search the calculation results earlier on for the word "LeMat-Bulk" and echo each line that has it.

== Worked solution ==
The following is a PBE-GGA calculation of a relaxed structure of ZrZnGa, from Alexandria via LeMat-Bulk.
The following is a PBE-GGA calculation of a relaxed structure of Ba2MgZr, from Alexandria via LeMat-Bulk.
The following is a PBE-GGA calculation of a relaxed structure of LiMnMo2, from Alexandria via LeMat-Bulk.
The following is a PBE-GGA calculation of a relaxed structure of Li2PuAl9, from Alexandria via LeMat-Bulk.
The following is a PBE-GGA calculation of a relaxed structure of Ta5Ru3, from Alexandria via LeMat-Bulk.